In the 1970s, Cherkao Vang and Mayhoua Moua arrived in the United States. Now they are American citizens and have lived in Wisconsin for more than 30 years. They are Hmong Americans, part of the largest community of Asian Americans in Wisconsin, and they paid close attention to this midterm election.
“We have to take a part in educating our people why it’s important to make their voices heard through voting,” Moua, who is now the executive director of Milwaukee Consortium for Hmong Health, said.
The Hmong lived in China for centuries, but they had their own culture and language separate from the Han majority. In the 1800s, they left due to increasing conflict with the Qing Dynasty. They settled in what is now Vietnam, Laos, Thailand and Burma, where they would end up embroiled in various conflicts over the centuries.
During the Vietnam war, the C.I.A. organized a “Secret Army” composed of Hmong people to fight for the United States. The war ended in 1975 after approximately 50,000 Hmong men and boys were killed or wounded. When the Laos Communist Party seized control of South Vietnam, they attempted to genocide the remaining Hmong soldiers and their families. A wave of Hmong people fled the country to Thailand and immigrated to the United States and other countries as political refugees in the following decades.

Nov. 7, 2022- Milwaukee, WI: Scenes from Milwaukee Consortium for Hmong Health, Inc. Mayhoua Moua, 53, is the executive director of Milwaukee Consortium for Hmong Health, Inc. She is working in her office. Photo by Leying Tang.
Vang and Moua were part of this wave of immigrants. In 1998, there were around 200,000 Hmong people in the United States.
Vang was a 24-year-old soldier who had been living in a refugee camp in Thailand for three years. He was forced to flee Laos with his wife because he had worked with the C.I.A. during the Vietnam War.
Moua’s father had also worked with the C.I.A. during the war, and he brought her and the rest of their family with him when he fled the country. They lived at a refugee camp in Thailand for one year, and when they finally arrived in the U.S. Moua was only 7 years old.
Wisconsin has the third largest Hmong population in the U.S. with over 62,000 Hmong people as of 2021, accounting for just over 1% of the state’s population of 5.9 million, according to the U.S. Census Bureau. Most Hmong Americans here have similar experiences to Vang and Moua.
However, it’s challenging for senior Hmong Americans to get involved in politics. They didn’t grow up in the U.S., so they face a language obstacle.
“In Laos, I did have educational training, but in America, I understood only a little bit of English,” Vang, a retired machinist, said.
Vang still thinks he’s not good at English even though he has received training here. Amoun Sayaovong, Vang’s nephew and the elderly services specialist for the Hmong American Friendship Association helped translate.
Hmong Americans are also not familiar with politics in the U.S. because they grew up in a different political environment.
(Materials data, kept here for reference)
┌──
CsNp3I8: simulated PXRD pattern (λ = 1.5418 Å (Cu Kα)), based on a PBE-relaxed structure.

Structure:
```
data_CsNp3I8
_space_group_name_H-M_alt 'R -3 m'
_space_group_IT_number 166
_space_group_name_Hall '-R 3 2"'
_cell_length_a 8.8365
_cell_length_b 8.8365
_cell_length_c 28.4519
_cell_angle_alpha 90.00
_cell_angle_beta 90.00
_cell_angle_gamma 120.00
loop_
_atom_site_label
_atom_site_type_symbol
_atom_site_fract_x
_atom_site_fract_y
_atom_site_fract_z
Cs1 Cs 0.0000 0.0000 0.0000
Np1 Np 0.0000 0.5000 0.5000
I1 I 0.0000 0.0000 0.2336
I2 I 0.0020 0.5010 0.2312
```

Top 12 peaks for 2θ = 10–80°, in order of rising 2θ:
12.0°, rel. 25; 22.2°, rel. 14; 26.5°, rel. 100; 32.1°, rel. 34; 34.4°, rel. 35; 40.8°, rel. 35; 42.0°, rel. 16; 42.2°, rel. 22; 49.3°, rel. 18; 54.5°, rel. 9; 64.8°, rel. 14; 65.9°, rel. 15
└──
“We come from a background where we didn’t have very much choice in politics,” Moua said. “That is not because we don’t want to, but we’re just not used to it, and we don’t fully understand it.”
This is also why the institution where Moua works often holds workshops to provide education to the local Hmong Americans and share information on different political candidates and their platforms.
Often, the attention to politics depends on individuals. Cherkao Vang doesn’t like getting involved in politics, instead, he tries to focus on his family.
“A lot of my friends say that I am a young man because I don’t deal a lot with issues that cause people headaches,” he said.
Vang did pay some attention to politics when he felt they impacted his life. This is why he says he used to support the Republican Party. When Vang and his wife first arrived in the U.S., he made very little money. He was paid $8 an hour as a worker shaving wood. Then he graduated with a Certificate of Machinist, which grants him the credentials to work at a machine shop, but he still couldn’t find a job. At that time, Jimmy Carter was serving as the U.S. president. Once President Ronald Reagan came into office, Vang felt the economy improved and there were more jobs available. He also got a job after graduating from the Milwaukee Area Technical College.
“I think that he is a great president,” Vang said of Reagan.
Now Vang is an independent voter and doesn’t pay much attention to politics. He voted for Democrat Tony Evers for governor and Republican Ron Johnson for senator in the midterm election, and he says he chose them because he’s familiar with their names.
“Hmong voters don’t get their information from traditional media outlets,” Sayaovong said. “If a candidate is made known to them, through a meet, or a greet, or through friends and family, just hearing that name from a trusted source will often make the difference in voting for a candidate.”
Sayaovong introduced his uncle to Governor Tony Evers when he asked him to attend a meet-and-greet event for the then-candidate. Although Vang was unable to attend, just hearing the name made the difference in voting for Evers. As for Ron Johnson, Vang said he didn’t know who Mandela Barnes was, and Ron Johnson is the person he voted for in the last election.
Moua has also already cast her vote. She declined to share her decision because she runs a nonprofit organization, but she said that affordable health care for Hmong Americans was her deciding factor in the voting booth this November.
She said cancer and chronic diseases like hypertension and diabetes are very prevalent in the Hmong community, but it’s hard for the Hmong people to fully conceptualize western physical therapy in their minds.
“When you talk about operations or surgery, the only vision that we can understand is how we butcher animals for food,” Moua said. “Cancer to us is like a death sentence.”
When Moua’s family first came to the U.S., they had never been exposed to western medical practices. The only way to cure diseases for Hmong people was to look for a shaman to perform spiritual healings, a traditional religious practice in the Hmong culture. It’s a gradual process for the Hmong people to trust western medicine.

Nov. 7, 2022- Milwaukee, WI: Scenes from Milwaukee Consortium for Hmong Health, Inc. Mayhoua Moua, 53, is the executive director of Milwaukee Consortium for Hmong Health, Inc. Photo by Leying Tang.
When Moua’s father-in-law had appendicitis, his relatives didn’t understand. He chose to undergo surgery because he felt there was no other option. The procedure saved his life. And now he encourages people around him to trust western medicine. Moua also uses her own experience receiving medical care to educate other Hmong Americans and encourage them to do screenings for early detection of cancer and chronic diseases.
A major challenge in addressing these issues is that the Hmong Americans are a minority within a minority. There is not enough data to demonstrate why they need to educate the Hmong people, so it’s hard to find grants to support their educational programs.
Moua and her colleagues attend research conferences to bring attention to Hmong people’s healthcare and medical issues. They also go to churches, organizations, festivals, and different community events to expand their network and reach out to people in the community.
Here the piece breaks off for records of crystals:
********
AgPb3Cl7: computed PXRD pattern (CuKα), based on a structure optimized by DFT (GGA-PBE).
Neutral-atom scattering factors, no anomalous dispersion.

Unit cell a=8.635 b=8.635 c=9.402 alpha=90.00 beta=90.00 gamma=106.92
Fractional positions:
Ag1 0.019 0.019 0.000
Ag2 0.981 0.981 0.500
Pb1 0.003 0.552 0.738
Pb2 0.448 0.448 0.500
Pb3 0.448 0.997 0.762
Pb4 0.552 0.003 0.262
Pb5 0.552 0.552 0.000
Pb6 0.997 0.448 0.238
Cl1 0.077 0.344 0.955
Cl2 0.089 0.911 0.750
Cl3 0.107 0.345 0.535
Cl4 0.344 0.077 0.045
Cl5 0.345 0.107 0.465
Cl6 0.356 0.644 0.750
Cl7 0.372 0.628 0.250
Cl8 0.628 0.372 0.750
Cl9 0.644 0.356 0.250
Cl10 0.655 0.893 0.965
Cl11 0.656 0.923 0.545
Cl12 0.893 0.655 0.035
Cl13 0.911 0.089 0.250
Cl14 0.923 0.656 0.455

Largest 12 diffraction maxima, in order of rising 2θ, 5 to 70 degrees two-theta:
| 2θ (°) | I_rel |
| --- | --- |
| 14.3 | 13 |
| 21.5 | 100 |
| 22.9 | 100 |
| 25.7 | 40 |
| 28.4 | 15 |
| 32.6 | 19 |
| 34.9 | 17 |
| 36.6 | 77 |
| 38.3 | 22 |
| 42.1 | 17 |
| 43.6 | 13 |
| 44.3 | 29 |

=====

RbAg2PbCl8: computed PXRD pattern (CuKα), based on a structure optimized by DFT (GGA-PBE).
Neutral-atom scattering factors, no anomalous dispersion.

Unit cell a=8.233 b=8.233 c=8.233 alpha=127.16 beta=127.16 gamma=77.98
Fractional positions:
Rb1 0.000 0.000 0.000
Ag1 0.500 0.500 0.000
Ag2 0.750 0.250 0.500
Pb1 0.250 0.750 0.500
Cl1 0.026 0.398 0.961
Cl2 0.198 0.468 0.636
Cl3 0.437 0.065 0.039
Cl4 0.438 0.802 0.271
Cl5 0.532 0.168 0.729
Cl6 0.602 0.563 0.628
Cl7 0.832 0.562 0.364
Cl8 0.935 0.974 0.372

Largest 12 diffraction maxima, in order of rising 2θ, 5 to 70 degrees two-theta:
| 2θ (°) | I_rel |
| --- | --- |
| 13.9 | 20 |
| 22.1 | 100 |
| 24.3 | 38 |
| 27.9 | 46 |
| 28.1 | 15 |
| 34.6 | 21 |
| 37.3 | 27 |
| 41.5 | 76 |
| 45.0 | 23 |
| 46.0 | 16 |
| 58.8 | 25 |
| 63.8 | 15 |

=====

RbAgPb2Cl7: computed PXRD pattern (CuKα), based on a structure optimized by DFT (GGA-PBE).
Neutral-atom scattering factors, no anomalous dispersion.

Unit cell a=12.192 b=12.192 c=12.192 alpha=153.83 beta=153.83 gamma=37.35
Fractional positions:
Rb1 0.000 0.000 0.000
Ag1 0.750 0.250 0.500
Pb1 0.376 0.376 0.000
Pb2 0.624 0.624 0.000
Cl1 0.102 0.602 0.500
Cl2 0.255 0.255 0.000
Cl3 0.398 0.898 0.500
Cl4 0.500 0.500 0.000
Cl5 0.625 0.125 0.500
Cl6 0.745 0.745 0.000
Cl7 0.875 0.375 0.500

Largest 12 diffraction maxima, in order of rising 2θ, 5 to 70 degrees two-theta:
| 2θ (°) | I_rel |
| --- | --- |
| 16.5 | 84 |
| 19.8 | 100 |
| 22.8 | 32 |
| 25.1 | 49 |
| 31.0 | 43 |
| 32.4 | 83 |
| 36.6 | 24 |
| 38.3 | 39 |
| 41.5 | 27 |
| 45.5 | 57 |
| 46.5 | 29 |
| 56.9 | 29 |

=====

Ag2SnPbCl8: computed PXRD pattern (CuKα), based on a structure optimized by DFT (GGA-PBE).
Neutral-atom scattering factors, no anomalous dispersion.

Unit cell a=8.579 b=8.579 c=8.579 alpha=133.60 beta=133.60 gamma=67.72
Fractional positions:
Ag1 0.000 0.000 0.000
Ag2 0.750 0.250 0.500
Sn1 0.250 0.750 0.500
Pb1 0.500 0.500 0.000
Cl1 0.088 0.199 0.481
Cl2 0.139 0.628 0.089
Cl3 0.372 0.461 0.511
********
Although Moua and Vang came from the same origin and cultural background, they still vote for different reasons. Neither votes for a certain party.
Politicians in Wisconsin know about Hmong Americans’ preference for voting and they take action on that. Tony Evers, the governor of Wisconsin, often goes to the Hmong community in person. He signed a bill to order the U.S. and Wisconsin flags to be flown at half-staff to honor Hmong-Lao Veterans Day this May. And he won his re-election campaign for governor earlier this month.
“For causes, not for parties,” Moua said, “If they want our votes, they need to come to us. ”